I didn't want to put this on my sister’s elegy because it seemed disrespectful, but it needs to be publicized if only for surrealism’s sake.
The Kenyan Media have been reporting that it is me that died. The reason that they know my name: back in 2016, I visited Kenya for the first time and met my biological father - a famous man in the country – after a 50-year gap. It was a big media event there.
But they seemed almost totally unaware that my much more private and similarly named sister had immigrated to the USA.
# Someone pasted materials data at this point
- - -
# 1
Structure and theoretical powder diffractogram of Er2S2I (DFT lattice parameters and positions (GGA-PBE); Cu Ka).
Kinematic intensities with the Lorentz-polarization factor, no thermal factor.

Structure:
Lattice parameters (Å, degrees): 7.319 7.319 7.319 146.90 137.14 55.20
Positions (direct):
Er 0.192 0.192 0.000
Er 0.808 0.808 0.000
S 0.318 0.818 0.500
S 0.682 0.182 0.500
I 0.000 0.500 0.500

Largest 12 diffraction maxima, most intense first, 5 to 70 degrees two-theta:
Position (°2θ)	I (rel.)
29.76	100.0
30.48	84.8
17.94	67.3
45.42	61.5
33.51	42.4
13.65	37.0
38.57	32.1
43.40	20.5
55.92	19.2
59.44	18.5
64.02	14.6
58.03	14.0

# 2
Structure and theoretical powder diffractogram of Rb3Er2Cl9 (DFT lattice parameters and positions (GGA-PBE); Cu Ka).
Kinematic intensities with the Lorentz-polarization factor, no thermal factor.

Structure:
Lattice parameters (Å, degrees): 9.724 9.724 9.724 83.90 83.90 83.90
Positions (direct):
Rb 0.085 0.750 0.415
Rb 0.250 0.585 0.915
Rb 0.415 0.085 0.750
Rb 0.585 0.915 0.250
Rb 0.750 0.415 0.085
Rb 0.915 0.250 0.585
Er 0.150 0.150 0.150
Er 0.350 0.350 0.350
Er 0.650 0.650 0.650
Er 0.850 0.850 0.850
Cl 0.079 0.268 0.919
Cl 0.081 0.921 0.732
Cl 0.097 0.403 0.250
Cl 0.232 0.421 0.581
Cl 0.250 0.097 0.403
Cl 0.268 0.919 0.079
Cl 0.403 0.250 0.097
Cl 0.419 0.768 0.579
Cl 0.421 0.581 0.232
Cl 0.579 0.419 0.768
Cl 0.581 0.232 0.421
Cl 0.597 0.750 0.903
Cl 0.732 0.081 0.921
Cl 0.750 0.903 0.597
Cl 0.768 0.579 0.419
Cl 0.903 0.597 0.750
Cl 0.919 0.079 0.268
Cl 0.921 0.732 0.081

Largest 12 diffraction maxima, most intense first, 5 to 70 degrees two-theta:
Position (°2θ)	I (rel.)
31.09	100.0
13.62	91.5
23.71	90.9
40.26	57.8
32.06	42.9
48.51	42.9
20.72	41.4
47.26	29.1
28.47	27.4
34.63	25.6
12.37	24.7
24.88	23.2

~~~~~

# Be3C
Theoretical X-ray powder pattern, λ = 1.5418 Å (Cu Kα). Input: a cell relaxed with GGA-PBE.

Principal peaks in the range 10° ≤ 2θ ≤ 90°, most intense first:
2θ (°)  I (rel.)  (hkl)
34.01  1000  1 0 0
59.40  791  1 0 2
60.87  511  1 1 0
23.07  224  0 0 1
71.59  80  2 0 0
41.50  58  1 0 1
83.73  29  1 0 3
65.99  19  1 1 1
47.15  9  0 0 2

Cell and atoms:
```
4
Lattice="3.044 0.000 0.000 -1.522 2.636 0.000 0.000 0.000 3.855" Properties=species:S:1:pos:R:3 pbc="T T T"
Be 0.000 0.000 0.000
Be 0.000 1.757 1.066
Be 0.000 1.757 2.790
C 0.000 0.000 1.928
```

~~~~~

Diffraction record for Nd3Dy4Au4. The XRD peak list is simulated, not measured: it uses a cell relaxed with PBE and Cu Kα (weighted mean of Kα1 and Kα2).
Neutral-atom scattering factors, no anomalous dispersion.

Largest 10 diffraction maxima, most intense first, 10° ≤ 2θ ≤ 90°:
h k l  2θ/deg  Rel. int.
1 2 1  29.90  100
1 1 4  31.27  49
2 0 0  36.84  47
0 0 6  33.97  35
1 2 5  41.12  33
1 3 2  41.01  30
0 1 5  30.45  26
3 2 1  62.14  20
0 2 6  41.31  15
2 1 5  48.52  14

Crystal structure
abc: 4.8796 7.7839 15.8502
angles: 90.00 90.00 90.00
Space group Immm (No. 71)
Asymmetric unit:
Nd1 0.0000 0.0000 0.0000 x2
Nd2 0.0000 0.5000 0.1030 x4
- - -
Two of the media entities have deleted their articles, but this one has not. To add insult to injury, that link features my sister’s photograph, but uses my biographical details. My father, who strove for journalistic excellence during his lifetime would probably raise up from his grave and slap them all upside the head, if he could.
It is hard to feel anything other than anger about this compounding mistake and it reminds me of another falsehood which affected the Kenyan side of my family.
Many of you know that my father, Philip Ochieng, was of the Luo tribe of Kenya – the same tribe as that of Barack Obama, Sr. Because Former President Obama’s family is/was Muslim, a blogger named Kenneth Lamb constructed a fable that the entire tribe is Muslim and that our tribe had been the slavers of every other tribe in the region. This happened back in 2008, during the former president’s first presidential campaign. Additionally, Mr. Lamb postulated that BHO, Sr. was mostly Arab which would mean that his son – whose mother was a white American – was not black African at all.
'''
1.
Diffraction record for LiTiH. The XRD peak list is computed, not measured: it uses a cell relaxed with PBE and copper Kα.
Peak positions follow from Bragg's law for the DFT cell and can differ from measured ones.

Crystal structure
```
LiTiH
1.0
1.4567 0.8410 9.6992
-1.4567 0.8410 9.6992
0.0000 -1.6821 9.6992
Li Ti H
2 2 2
direct
0.1248 0.1248 0.1248 Li
0.8752 0.8752 0.8752 Li
0.2950 0.2950 0.2950 Ti
0.7050 0.7050 0.7050 Ti
0.4113 0.4113 0.4113 H
0.5887 0.5887 0.5887 H
```

Main lines, most intense first (2θ from 10° to 90°):
- 2θ = 38.91°, intensity 100
- 2θ = 36.13°, intensity 80
- 2θ = 41.88°, intensity 76
- 2θ = 47.71°, intensity 46
- 2θ = 37.08°, intensity 39
- 2θ = 76.25°, intensity 24
- 2θ = 63.91°, intensity 24
- 2θ = 27.59°, intensity 20
- 2θ = 65.95°, intensity 20
- 2θ = 43.66°, intensity 18


2.
Diffraction record for Li6Tl2H. The XRD peak list is computed, not measured: it uses a cell relaxed with PBE and copper Kα.
Peak positions follow from Bragg's law for the DFT cell and can differ from measured ones.

Crystal structure
```
Li6Tl2H
1.0
-2.9574 2.9574 4.2318
2.9574 -2.9574 4.2318
2.9574 2.9574 -4.2318
Li Tl H
6 2 1
direct
0.2397 0.2397 0.4794 Li
0.2397 0.7603 0.0000 Li
0.2419 0.2419 0.0000 Li
0.7581 0.7581 0.0000 Li
0.7603 0.2397 0.0000 Li
0.7603 0.7603 0.5206 Li
0.2500 0.7500 0.5000 Tl
0.7500 0.2500 0.5000 Tl
0.0000 0.0000 0.0000 H
```

Main lines, most intense first (2θ from 10° to 90°):
- 2θ = 21.24°, intensity 100
- 2θ = 30.04°, intensity 88
- 2θ = 37.09°, intensity 61
- 2θ = 20.99°, intensity 51
- 2θ = 30.22°, intensity 43
- 2θ = 53.57°, intensity 36
- 2θ = 48.20°, intensity 24
- 2θ = 48.56°, intensity 23
- 2θ = 48.68°, intensity 23
- 2θ = 43.26°, intensity 20


3.
Diffraction record for LiTmH4. The XRD peak list is computed, not measured: it uses a cell relaxed with PBE and copper Kα.
Peak positions follow from Bragg's law for the DFT cell and can differ from measured ones.

Crystal structure
```
LiTmH4
1.0
3.5465 0.0000 0.0000
0.0000 3.5465 0.0000
0.0000 0.0000 4.8826
Li Tm H
1 1 4
direct
0.0000 0.0000 0.0000 Li
0.5000 0.5000 0.5000 Tm
0.0000 0.5000 0.2485 H
0.0000 0.5000 0.7515 H
0.5000 0.0000 0.2485 H
0.5000 0.0000 0.7515 H
```

Main lines, most intense first (2θ from 10° to 90°):
- 2θ = 31.17°, intensity 100
- 2θ = 18.17°, intensity 82
- 2θ = 25.11°, intensity 76
- 2θ = 40.44°, intensity 44
- 2θ = 35.81°, intensity 32
- 2θ = 45.08°, intensity 32
- 2θ = 61.47°, intensity 29
- 2θ = 52.30°, intensity 25
- 2θ = 55.10°, intensity 18
- 2θ = 70.85°, intensity 17


4.
Diffraction record for Li2HW. The XRD peak list is computed, not measured: it uses a cell relaxed with PBE and copper Kα.
Peak positions follow from Bragg's law for the DFT cell and can differ from measured ones.

Crystal structure
```
Li2HW
1.0
-2.4622 2.4622 3.4651
2.4622 -2.4622 3.4651
2.4622 2.4622 -3.4651
Li H W
4 2 2
direct
0.0000 0.0000 0.0000 Li
0.0000 0.0000 0.5000 Li
0.0000 0.5000 0.0000 Li
0.5000 0.0000 0.5000 Li
0.1250 0.8750 0.2500 H
'''
When I first read this foolishness, I laughed. Not long afterward, however, I began to see this story repeated everywhere. Many of my friends repeated the story as fact, but the most jaw-dropping thing was listening in real time as the late Rush Limbaugh repeated it. (In fairness to him he did say that he didn’t know if it was true.) I also saw Larry Elder assert it repeatedly on his Twitter feed.
Whenever I read/heard this, I tried to push back with the truth, but bullshit had the same head start that it always has.
Related to this fiasco, was the American perception of the Kenyan Civil Conflict that happened in that same year. I watched as other self-styled Kenya-experts tried to frame it as a clash between Islam and Christianity, with the Luo allegedly being on the side of Islam. Heck, I’m no expert on Kenya either, but I knew that the Kenyan Luo are approximately 90% Christian. (For the record, my family consists of Seventh Day Adventists and Evangelicals. Many others, however, are Anglicans, with Kenya once having been a British colony.)
Now that BHO Jr. is no longer president (yes, I know), no one cares much about his ethnic background – real or imagined. But the last time I saw some portion of these elaborate lies repeated was just a few months ago.
Here the piece breaks off for calculated crystals >
The following is a simulated powder diffraction line list of Sc5As3. It was derived from a cell relaxed with GGA-PBE, using copper Kα.
Lines closer than 0.1° are merged.

Structure:
```
32
Lattice="10.7449 0.0000 0.0000 0.0000 8.1885 0.0000 0.0000 0.0000 7.2543" Properties=species:S:1:pos:R:3 pbc="T T T"
Sc 0.0386 2.0471 0.2164
Sc 0.7573 0.4326 5.0113
Sc 0.7573 3.6617 5.0113
Sc 2.2268 6.1414 2.5320
Sc 2.3933 2.0471 2.4192
Sc 2.9792 6.1414 6.0463
Sc 3.1457 2.0471 6.1591
Sc 4.6152 4.5268 1.3841
Sc 4.6152 7.7560 1.3841
Sc 5.3338 6.1414 3.8435
Sc 5.4111 2.0471 3.4108
Sc 6.1298 0.4326 5.8701
Sc 6.1298 3.6617 5.8701
Sc 7.5992 6.1414 1.0952
Sc 7.7657 2.0471 1.2079
Sc 8.3516 6.1414 4.8351
Sc 8.5181 2.0471 4.7223
Sc 9.9876 4.5268 2.2430
Sc 9.9876 7.7560 2.2430
Sc 10.7063 6.1414 7.0379
As 0.2030 6.1414 4.2366
As 1.8517 4.1730 0.4660
As 1.8517 8.1098 0.4660
As 3.5208 0.0788 4.0931
As 3.5208 4.0155 4.0931
As 5.1694 2.0471 0.6094
As 5.5755 6.1414 6.6448
As 7.2241 4.1730 3.1612
As 7.2241 8.1098 3.1612
As 8.8932 0.0788 6.7883
As 8.8932 4.0155 6.7883
As 10.5419 2.0471 3.0177
```

The 10 most intense peaks (2θ = 10–80°), in order of falling intensity:
d 2.632, rel. 100.0, hkl 1 2 2
d 2.423, rel. 91.3, hkl 2 2 2
d 2.527, rel. 61.6, hkl 3 2 1
d 2.519, rel. 55.0, hkl 4 0 1
d 2.246, rel. 50.3, hkl 4 2 0
d 2.047, rel. 48.7, hkl 0 4 0
d 2.552, rel. 45.2, hkl 3 0 2
d 3.212, rel. 45.2, hkl 3 0 1
d 3.384, rel. 31.1, hkl 1 2 1
d 1.941, rel. 27.0, hkl 2 2 3

=====

For LiV5O10, the PBE+U geometry in Alexandria gives the calculated powder diffraction line list in this record (Cu Kα X-rays).

Cell and atoms:
```
LiV5O10
1.0
5.1302 0.0000 0.0000
0.9102 5.0745 0.0000
2.3280 2.1362 7.2049
Li V O
1 5 10
Cartesian
0.0000 0.0000 0.0000
2.4215 3.8552 4.1203
5.6166 4.9244 6.4200
4.9251 2.4361 4.9963
5.0472 5.2760 3.2228
4.3345 2.8048 1.8185
3.4674 4.4086 2.5431
4.1924 4.2850 5.1127
5.0021 6.8192 6.3737
2.7236 2.3083 0.7691
3.4950 2.0498 3.6576
What was the purpose of Kenneth Lambs tale? I think it was an attempt to sever the racial and religious connection that many black Americans had and have to the former president. We all know that it was mostly a futile endeavor, however. And, before someone reading this gets the wrong idea: I haven’t voted for a Democrat since the previous century.
My lesson and yours: it doesn’t matter which media it is, they – we – will take the lazy way when setting reportage before the public. Big Media? Of course. Social Media? For sure. We of the New Media? Sadly, yes and I include myself. We will play toward our preconceived notions and prejudices. And we will blindly pass on information if it agrees with what we thought all along.
That is because we are flawed and delusional to a certain point. How to minimize it? Keep it in mind every time we hit the publish button. Remember, the father of lies is always looking for an opening.
Rest in Peace, Father and Little Sister. God knows your names.
Take heart that Kenyan journalists are striving to maintain the same standards of accuracy and ethics as their Western counterparts.
Sorry to hear of your sister's passing. Glad to hear the reports of your death were wrong.